Artificial sweetener in diet products increases fat cell formation

Many people today have problems with their weight. For this reason, sufferers often rely on so-called diet products. Researchers have now discovered that sweeteners contained in these products seem to promote fat formation.
Researchers at George Washington University in Washington found in their study that consuming sweetener diet products promotes fat formation. The physicians published the results of their study at the annual meeting of the Endocrine Society (ENDO 2017).

┌──
Starting from DFT lattice parameters and positions (PBE), the powder diffractogram of Pr3HoAg2 was calculated for λ = 1.5418 Å (Cu Kα).
No peak broadening, texture or thermal motion is included.

Atomic structure:
```
data_Pr3HoAg2
_cell_length_a 5.2863
_cell_length_b 9.5052
_cell_length_c 7.0071
_cell_angle_alpha 90.00
_cell_angle_beta 90.00
_cell_angle_gamma 90.00
_space_group_name_H-M_alt 'P m c 21'
_space_group_IT_number 26
loop_
_space_group_symop_operation_xyz
'x,y,z'
'-x,-y,z+1/2'
'-x,y,z'
'x,-y,z+1/2'
loop_
_atom_site_label
_atom_site_type_symbol
_atom_site_fract_x
_atom_site_fract_y
_atom_site_fract_z
Pr1 Pr 0.0000 0.0602 0.0000
Pr2 Pr 0.0000 0.3368 0.3442
Pr3 Pr 0.5000 0.1715 0.6664
Ho1 Ho 0.5000 0.4410 0.0157
Ag1 Ag 0.0000 0.3492 0.7852
Ag2 Ag 0.5000 0.1593 0.2283
```

Peak list (10 most intense, 2θ = 15–90°, low angle first)
| d [Å] | I (rel.) | hkl |
| --- | --- | --- |
| 3.156 | 58 | 1 2 1 |
| 2.920 | 35 | 1 0 2 |
| 2.887 | 21 | 0 3 1 |
| 2.820 | 32 | 0 2 2 |
| 2.792 | 100 | 1 1 2 |
| 2.718 | 87 | 1 3 0 |
| 2.643 | 67 | 2 0 0 |
| 2.350 | 17 | 0 3 2 |
| 1.929 | 21 | 2 2 2 |
| 1.589 | 19 | 1 4 3 |

---

Starting from DFT lattice parameters and positions (PBE), the powder diffractogram of PrHo4Ag was calculated for λ = 1.5418 Å (Cu Kα).
No peak broadening, texture or thermal motion is included.

Atomic structure:
```
data_PrHo4Ag
_cell_length_a 3.5789
_cell_length_b 3.5789
_cell_length_c 13.8603
_cell_angle_alpha 90.00
_cell_angle_beta 90.00
_cell_angle_gamma 90.00
_space_group_name_H-M_alt 'P 4/m m m'
_space_group_IT_number 123
_space_group_name_Hall '-P 4 2'
loop_
_atom_site_label
_atom_site_type_symbol
_atom_site_fract_x
_atom_site_fract_y
_atom_site_fract_z
Pr1 Pr 0.0000 0.0000 0.0000
Ho1 Ho 0.0000 0.0000 0.3653
Ho2 Ho 0.5000 0.5000 0.1851
Ag1 Ag 0.5000 0.5000 0.5000
```

Peak list (10 most intense, 2θ = 15–90°, low angle first)
| d [Å] | I (rel.) | hkl |
| --- | --- | --- |
| 3.180 | 9 | 1 0 2 |
| 2.829 | 100 | 1 0 3 |
| 2.531 | 44 | 1 1 0 |
| 1.869 | 10 | 1 1 5 |
| 1.789 | 16 | 2 0 0 |
| 1.706 | 12 | 1 1 6 |
| 1.559 | 16 | 1 0 8 |
| 1.512 | 30 | 2 1 3 |
| 1.415 | 9 | 2 0 6 |
| 1.176 | 9 | 2 1 8 |

---

Starting from DFT lattice parameters and positions (PBE), the powder diffractogram of HoAg3Pt8 was calculated for λ = 1.5418 Å (Cu Kα).
No peak broadening, texture or thermal motion is included.

Atomic structure:
```
data_HoAg3Pt8
_cell_length_a 5.3312
_cell_length_b 5.3312
_cell_length_c 26.0957
_cell_angle_alpha 90.00
_cell_angle_beta 90.00
_cell_angle_gamma 120.00
_space_group_name_H-M_alt 'R 3 m'
_space_group_IT_number 160
_space_group_name_Hall 'R 3 -2"'
loop_
_atom_site_label
_atom_site_type_symbol
_atom_site_fract_x
_atom_site_fract_y
_atom_site_fract_z
Ho1 Ho 0.0000 0.0000 0.0000
Ag1 Ag 0.0000 0.0000 0.1281
Ag2 Ag 0.0000 0.0000 0.4986
Ag3 Ag 0.0000 0.0000 0.6200
Pt1 Pt 0.0000 0.0000 0.3124
Pt2 Pt 0.0000 0.0000 0.8126
Pt3 Pt 0.0006 0.5003 0.5627
Pt4 Pt 0.1671 0.3342 0.3956
```
└──
Let's reduce it with diet products?
Diet products usually contain no sugar. Consumers hope to lose weight due to the reduced sugar intake. However, just because no sugar is included does not automatically mean that diet products will result in a lower waist size, the experts say. If you frequently use diet products, you may even increase their chances of gaining weight.
Artificial sweeteners lead to an increase in fat cells
Sweetener can promote human fat formation. The current study now explores why this compound exists. Two different studies dealt with this topic. The first study found that when sucralose (a low-calorie sweetener) was added to human adipose-derived stem cells, these cells tend to increase expression of the markers of fat production and inflammation, the researchers explain. The cells also collected more fat. The more sucralose the researchers added, the more fat was built. So artificial sweeteners directly promote the increase of fat cells in humans, say the authors.
Sweeteners affect fat producing genes and other receptors
For the second study, researchers analyzed the biopsy samples of the abdominal fat of eight people who used low-calorie sweeteners. They then compared this data with people who consumed normal food. In the samples of people using sweeteners, the scientists discovered that the fat-producing genes of those affected and other receptors were influenced by changes occurring. The samples also showed an increase in glucose, the experts add.
Effects of using sweetener
The results are worrying. "When excess glucose enters cells, it starts a true cascade of biochemical events," say the physicians. These can lead to heart disease, blindness and kidney disease. In obese individuals, the effects were particularly disturbing.
Sweeteners promote inflammation in the body
Low-calorie sweeteners promote additional fat production by bringing more glucose into the cells. This promotes inflammation, which may be particularly harmful to overweight individuals, the authors add.
Sweeteners really promote weight gain?
Some older studies concluded that substituting sugar with artificial sweeteners could lead to weight loss. However, recent studies suggest that sweeteners tend to promote weight gain, impair blood sugar regulation, and alter bacteria, the researchers explain.
Avoid artificial sweeteners
Avoid the consumption of processed and non-nutritional or artificial foods, these can harm the body, explain the physicians. Better use foods with natural sugar to satisfy your cravings. These contain vitamins, fiber and other beneficial nutrients. Instead of bothering with the decision between artificially sweetened or sugary drinks, you can in case of doubt also simply rely on water, advise the experts. (As)